_Material_
-- begin --
1.
{"formula": "Mg2TaB2Ir5", "functional": "GGA-PBE", "state": "relaxed", "dft_energy_ev_per_atom": -7.782, "formation_energy_kcal_per_mol_atoms": -11.792, "dos_ef_per_ev_atom": 0.217, "lattice": [[9.682, 0.000, 0.000], [0.000, 9.682, 0.000], [0.000, 0.000, 2.964]], "species": ["Mg", "Mg", "Mg", "Mg", "Ta", "Ta", "B", "B", "B", "B", "Ir", "Ir", "Ir", "Ir", "Ir", "Ir", "Ir", "Ir", "Ir", "Ir"], "fractional_positions": [[0.177, 0.323, 0.000], [0.323, 0.823, 0.000], [0.677, 0.177, 0.000], [0.823, 0.677, 0.000], [0.000, 0.000, 0.000], [0.500, 0.500, 0.000], [0.121, 0.621, 0.000], [0.379, 0.121, 0.000], [0.621, 0.879, 0.000], [0.879, 0.379, 0.000], [0.000, 0.500, 0.500], [0.072, 0.779, 0.500], [0.221, 0.072, 0.500], [0.279, 0.572, 0.500], [0.428, 0.279, 0.500], [0.500, 0.000, 0.500], [0.572, 0.721, 0.500], [0.721, 0.428, 0.500], [0.779, 0.928, 0.500], [0.928, 0.221, 0.500]]}

2.
{"formula": "Ba2ScBr", "functional": "GGA-PBE", "state": "relaxed", "dft_energy_ev_per_atom": -3.146, "e_form_raw_ev_per_atom": -0.1838, "dos_ef_per_ev_atom": 1.426, "lattice": [[-2.446, 2.446, 7.279], [2.446, -2.446, 7.279], [2.446, 2.446, -7.279]], "species": ["Ba", "Ba", "Sc", "Br"], "fractional_positions": [[0.000, 0.000, 0.000], [0.750, 0.250, 0.500], [0.500, 0.500, 0.000], [0.250, 0.750, 0.500]]}

3.
{"formula": "Be2FeRe", "functional": "GGA-PBE", "state": "relaxed", "dft_energy_ev_per_atom": -7.121, "formation_energy_kcal_per_mol_atoms": -0.689, "dos_ef_per_ev_atom": 0.641, "lattice": [[-1.379, 1.937, 3.864], [1.379, -1.937, 3.864], [1.379, 1.937, -3.864]], "species": ["Be", "Be", "Fe", "Re"], "fractional_positions": [[0.000, 0.000, 0.000], [0.779, 0.279, 0.500], [0.533, 0.533, 0.000], [0.262, 0.762, 0.500]]}
-- stop --

_Assignment_
Transcribe everything above with every line break kept, please.

_Here it is_
1.
{"formula": "Mg2TaB2Ir5", "functional": "GGA-PBE", "state": "relaxed", "dft_energy_ev_per_atom": -7.782, "formation_energy_kcal_per_mol_atoms": -11.792, "dos_ef_per_ev_atom": 0.217, "lattice": [[9.682, 0.000, 0.000], [0.000, 9.682, 0.000], [0.000, 0.000, 2.964]], "species": ["Mg", "Mg", "Mg", "Mg", "Ta", "Ta", "B", "B", "B", "B", "Ir", "Ir", "Ir", "Ir", "Ir", "Ir", "Ir", "Ir", "Ir", "Ir"], "fractional_positions": [[0.177, 0.323, 0.000], [0.323, 0.823, 0.000], [0.677, 0.177, 0.000], [0.823, 0.677, 0.000], [0.000, 0.000, 0.000], [0.500, 0.500, 0.000], [0.121, 0.621, 0.000], [0.379, 0.121, 0.000], [0.621, 0.879, 0.000], [0.879, 0.379, 0.000], [0.000, 0.500, 0.500], [0.072, 0.779, 0.500], [0.221, 0.072, 0.500], [0.279, 0.572, 0.500], [0.428, 0.279, 0.500], [0.500, 0.000, 0.500], [0.572, 0.721, 0.500], [0.721, 0.428, 0.500], [0.779, 0.928, 0.500], [0.928, 0.221, 0.500]]}

2.
{"formula": "Ba2ScBr", "functional": "GGA-PBE", "state": "relaxed", "dft_energy_ev_per_atom": -3.146, "e_form_raw_ev_per_atom": -0.1838, "dos_ef_per_ev_atom": 1.426, "lattice": [[-2.446, 2.446, 7.279], [2.446, -2.446, 7.279], [2.446, 2.446, -7.279]], "species": ["Ba", "Ba", "Sc", "Br"], "fractional_positions": [[0.000, 0.000, 0.000], [0.750, 0.250, 0.500], [0.500, 0.500, 0.000], [0.250, 0.750, 0.500]]}

3.
{"formula": "Be2FeRe", "functional": "GGA-PBE", "state": "relaxed", "dft_energy_ev_per_atom": -7.121, "formation_energy_kcal_per_mol_atoms": -0.689, "dos_ef_per_ev_atom": 0.641, "lattice": [[-1.379, 1.937, 3.864], [1.379, -1.937, 3.864], [1.379, 1.937, -3.864]], "species": ["Be", "Be", "Fe", "Re"], "fractional_positions": [[0.000, 0.000, 0.000], [0.779, 0.279, 0.500], [0.533, 0.533, 0.000], [0.262, 0.762, 0.500]]}